Assignment:
Count the lines below that contain the word "polymorph" and give the number alone, please.

Material:
____________
# 1
This record from Materials Project describes an optimized crystal structure of CaCu2O4. The functional is PBE-GGA.

Structure (POSCAR):
```
CaCu2O4
1.0
9.0283 0.0000 0.0000
0.0000 3.0626 0.0000
0.0000 0.0000 10.5989
Ca Cu O
4 8 16
Direct
0.2416 0.2500 0.1603
0.2584 0.7500 0.6603
0.7416 0.2500 0.3397
0.7584 0.7500 0.8397
0.0606 0.2500 0.3870
0.0834 0.2500 0.8990
0.4166 0.7500 0.3990
0.4394 0.7500 0.8870
0.5606 0.2500 0.1130
0.5834 0.2500 0.6010
0.9166 0.7500 0.1010
0.9394 0.7500 0.6130
0.0255 0.7500 0.7843
0.0823 0.2500 0.5742
0.1175 0.7500 0.0247
0.2062 0.7500 0.3399
0.2938 0.2500 0.8399
0.3825 0.2500 0.5247
0.4177 0.7500 0.0742
0.4745 0.2500 0.2843
0.5255 0.7500 0.7157
0.5823 0.2500 0.9258
0.6175 0.7500 0.4753
0.7062 0.7500 0.1601
0.7938 0.2500 0.6601
0.8825 0.2500 0.9753
0.9177 0.7500 0.4258
0.9745 0.2500 0.2157
```

Magnetization: 0.339 μB/f.u.
E above lowest polymorph: 179 meV per atom
VASP energy: -5.424 eV/atom
Energy of formation from the pure elements: -1.531 eV per atom

# 2
This record from Materials Project describes an optimized crystal structure of Ca7Cu17O24. The functional is PBE-GGA.

Structure (POSCAR):
```
Ca7Cu17O24
1.0
9.8969 0.0000 0.0000
0.0000 16.4370 0.0000
0.0000 0.0000 3.6406
Ca Cu O
7 17 24
Direct
0.0000 0.0000 0.0000
0.0000 0.2530 0.9866
0.0000 0.7470 0.9866
0.5000 0.1263 0.7132
0.5000 0.3752 0.7051
0.5000 0.6248 0.7051
0.5000 0.8737 0.7132
0.0000 0.5000 0.8928
0.1602 0.3792 0.4999
0.1602 0.6208 0.4999
0.1642 0.1262 0.5008
0.1642 0.8738 0.5008
0.3323 0.2519 0.2119
0.3324 0.5000 0.1966
0.3323 0.7481 0.2119
0.3349 0.0000 0.2113
0.6651 0.0000 0.2113
0.6677 0.2519 0.2119
0.6676 0.5000 0.1966
0.6677 0.7481 0.2119
0.8358 0.1262 0.5008
0.8358 0.8738 0.5008
0.8398 0.3792 0.4999
0.8398 0.6208 0.4999
0.0000 0.1255 0.7609
0.0000 0.3860 0.7903
0.0000 0.6140 0.7903
0.0000 0.8745 0.7609
0.1630 0.2545 0.4682
0.1630 0.7455 0.4682
0.1649 0.5000 0.4401
0.1678 0.0000 0.4703
0.3287 0.3780 0.2404
0.3287 0.6220 0.2404
0.3309 0.1259 0.2425
0.3309 0.8741 0.2425
0.5000 0.0000 0.9541
0.5000 0.2514 0.9656
0.5000 0.5000 0.9487
0.5000 0.7486 0.9656
0.6691 0.1259 0.2425
0.6691 0.8741 0.2425
0.6713 0.3780 0.2404
0.6713 0.6220 0.2404
0.8322 0.0000 0.4703
0.8351 0.5000 0.4401
0.8370 0.2545 0.4682
0.8370 0.7455 0.4682
```

Magnetization: 2.049 μB/f.u.
VASP energy: -5.474 eV/atom
Energy of formation from the pure elements: -1.599 eV per atom

# 3
This record from Materials Project describes an optimized crystal structure of Ca2Cu2O5. The functional is PBE-GGA.

Structure (POSCAR):
```
Ca2Cu2O5
1.0
-7.4763 2.7494 2.6891
7.4763 -2.7494 2.6891
7.4763 2.7494 -2.6891
Ca Cu O
4 4 10
Direct
0.0164 0.1067 0.1231
0.0164 0.3933 0.4097
0.9836 0.6067 0.5903
0.9836 0.8933 0.8769
0.4855 0.7893 0.1962
0.4937 0.4937 0.0000
0.4937 0.9937 0.5000
0.5931 0.2893 0.8038
0.0043 0.6367 0.8676
0.4289 0.1147 0.5825
0.4289 0.3464 0.8142
0.4991 0.2369 0.2425
0.4991 0.7566 0.7623
0.5322 0.6147 0.1858
0.5322 0.8464 0.4175
0.7690 0.1367 0.1324
0.9943 0.2566 0.7575
0.9943 0.7369 0.2377
```

Magnetization: 0.002 μB/f.u.
E above lowest polymorph: 138 meV per atom
VASP energy: -5.656 eV/atom
Energy of formation from the pure elements: -1.932 eV per atom

# 4
This record from Materials Project describes an optimized crystal structure of CaCu2O4. The functional is PBE-GGA.

Structure (POSCAR):
```
CaCu2O4
1.0
6.2167 0.0000 0.0000
-3.1083 5.3838 0.0000
0.0000 0.0000 15.2565
Ca Cu O
6 12 24
Direct
0.0000 0.0000 0.0000
0.0000 0.0000 0.2336
0.0000 0.0000 0.6027
0.3333 0.6667 0.3585
0.3333 0.6667 0.9473
0.6667 0.3333 0.6619
0.0054 0.5027 0.1197
0.1642 0.3284 0.7772
0.1642 0.8358 0.7772
0.3333 0.6667 0.5645
0.3418 0.1709 0.4408
0.4973 0.5027 0.1197
0.4973 0.9946 0.1197
0.6667 0.3333 0.2744
0.6667 0.3333 0.8863
0.6716 0.8358 0.7772
0.8291 0.1709 0.4408
0.8291 0.6582 0.4408
0.0000 0.0000 0.3814
0.0000 0.0000 0.8571
0.0254 0.5127 0.8385
0.1691 0.3383 0.5053
0.1691 0.8309 0.5053
0.1870 0.3739 0.0600
0.1870 0.8130 0.0600
0.2865 0.1433 0.7144
0.3333 0.6667 0.2053
____________

Response:
2